[Data]
=====
! BeIr2, relaxed, DFT PBEsol; values from VASP
&SYSTEM
  ibrav = 0, nat = 6, ntyp = 2
/
ATOMIC_SPECIES
Be 9.01 Be.upf
Ir 192.22 Ir.upf
ATOMIC_POSITIONS angstrom
Be -1.7275 -0.9888 0.1175
Be -1.8043 -0.0972 5.2985
Ir -2.3511 0.6163 3.0489
Ir -3.2351 -1.6455 4.1585
Ir -1.1807 -1.7023 2.3671
Ir -0.2966 0.5595 1.2575
CELL_PARAMETERS angstrom
-2.5162 0.5682 -0.8464
-0.1606 -4.7961 1.6115
-0.8550 3.1419 4.6509
! - SG = C2/m
! - ΔE_f (eV/atom) = -0.2794
! - calculated density (kg/m3) = 18046

---

! NaMg30FeO32, relaxed, DFT PBEsol; values from VASP
&SYSTEM
  ibrav = 0, nat = 64, ntyp = 4
/
ATOMIC_SPECIES
Mg 24.30 Mg.upf
O 16.00 O.upf
Na 22.99 Na.upf
Fe 55.84 Fe.upf
ATOMIC_POSITIONS angstrom
Mg -3.4453 -4.7086 1.2487
Mg 0.6762 -3.8341 -5.4028
Mg -1.7274 -2.3535 0.6212
Mg -4.4755 -6.4243 -0.9639
Mg -2.7575 -4.0694 -1.6031
Mg 0.3788 -3.4042 2.4632
Mg -0.6498 -9.5951 -2.3050
Mg 2.7995 -4.8827 -3.5705
Mg 1.0620 -2.7640 -0.3752
Mg -5.1632 -7.0638 1.8761
Mg -3.7902 -5.7692 -3.7935
Mg 1.0682 -7.2403 -2.9442
Mg -2.7408 -8.5395 -4.1540
Mg 0.0023 -4.4757 -2.5890
Mg 0.3828 -7.8953 -0.1146
Mg -1.3480 -5.7625 3.0879
Mg 3.1789 -8.2917 -1.1038
Mg -2.3770 -7.4890 0.8712
Mg -3.4096 -9.1889 -1.3192
Mg -3.8241 -1.3044 -1.2146
Mg 1.4413 -6.1730 2.0915
Mg -5.5425 -3.6548 -0.5905
Mg -1.0503 -1.7289 -2.2278
Mg 1.7416 -2.1236 -3.2027
Mg -4.8412 -3.0220 -3.4318
Mg -0.6665 -5.1250 0.2459
Mg -1.0304 -6.1755 -4.7794
Mg -1.7037 -6.8323 -1.9541
Mg 2.1204 -5.5279 -0.7395
Mg -3.1148 -5.1272 -6.6068
O 1.2376 -4.4513 0.8841
O 2.3100 -7.2312 0.4930
O -3.2557 -6.4120 2.4811
O -1.1598 -4.5531 -6.1141
O -1.5235 -8.4510 -0.7828
O -2.5856 -5.7568 -0.3322
O -2.5591 -10.2592 -2.9368
O 0.1807 -1.6239 1.1750
O -1.5067 -4.0474 1.8644
O 1.2799 -8.9497 -1.7174
O 0.5770 -5.1846 3.7515
O -4.6873 -4.7148 -2.1907
O -5.8523 -1.9962 -1.8587
O -0.8217 -7.9077 -3.5760
O -3.6348 -3.0053 0.0162
O -3.6402 -7.4928 -2.5691
O -4.1085 -4.1191 -5.0608
O -3.0052 -2.3029 -2.7205
O -1.8838 -5.2135 -3.1254
O 2.6652 -3.2499 -4.9013
O -1.7960 -0.6126 -0.5704
O -4.3075 -8.1273 0.2785
O 1.9309 -3.8245 -1.9720
O -0.8482 -3.4053 -0.9714
O 0.2329 -6.1717 -1.3390
O -2.9389 -6.8467 -5.4059
O -0.4685 -6.8178 1.4978
O 0.8179 -0.9973 -1.5041
O 0.9001 -5.5372 -4.1866
O -0.0565 -2.7369 -3.7738
O 3.0033 -6.6044 -2.3631
O -5.3838 -5.3699 0.6330
Na -2.0825 -3.4280 -4.4173
Fe 0.0000 0.0000 0.0000
CELL_PARAMETERS angstrom
-7.6482 -2.6088 -2.4291
3.4832 -4.2472 -6.4055
0.7577 -6.8085 4.9265
! - SG = P4/mmm
! - calculated density (kg/m3) = 3648
! - raw formation energy (eV per atom) = -2.64

---

! K2NaLaRe, relaxed, DFT PBEsol; values from VASP
&SYSTEM
  ibrav = 0, nat = 5, ntyp = 4
/
ATOMIC_SPECIES
K 39.10 K.upf
Na 22.99 Na.upf
Re 186.21 Re.upf
La 138.91 La.upf
ATOMIC_POSITIONS angstrom
K -3.2977 -0.2834 -0.0197
K 0.1787 -1.8902 -2.7113
Na -3.2850 -0.1430 -4.1576
Re 0.0000 0.0000 0.0000
La -0.1660 2.0306 -1.4266
CELL_PARAMETERS angstrom
-0.3320 4.0611 -2.8532
0.3574 -3.7804 -5.4225
-6.5954 -0.5669 -0.0395
! - SG = P4/mmm
! - ΔE_f (eV/atom) = 0.9446
! - calculated density (kg/m3) = 3247

---

! K3Rb, relaxed, DFT PBEsol; values from VASP
&SYSTEM
  ibrav = 0, nat = 4, ntyp = 2
/
ATOMIC_SPECIES
K 39.10 K.upf
Rb 85.47 Rb.upf
ATOMIC_POSITIONS angstrom
K 0.0000 0.0000 0.0000
K 3.7309 2.1541 1.5232
K 11.1928 6.4622 4.5695
Rb 7.4619 4.3081 3.0463
CELL_PARAMETERS angstrom
7.4619 0.0000 0.0000
3.7309 6.4622 0.0000
3.7309 2.1541 6.0926
! - SG = Fm-3m
! - ΔE_f (eV/atom) = 0.0030
! - calculated density (kg/m3) = 1146

---

! Tb6CoBr10, relaxed, DFT PBEsol; values from VASP
&SYSTEM
  ibrav = 0, nat = 17, ntyp = 3
/
ATOMIC_SPECIES
Br 79.90 Br.upf
Tb 158.93 Tb.upf
Co 58.93 Co.upf
ATOMIC_POSITIONS angstrom
Br -6.6326 -4.3522 2.7432
Br -4.5997 0.3982 0.0801
Br -8.1182 -0.9548 1.0408
Br -1.9528 -2.0719 -2.0569
Br -5.6526 -3.3476 -1.1351
Br -3.6305 1.4527 -3.6085
Br -7.3303 0.1770 -2.6867
Br -1.1648 -0.9401 -5.7844
Br -4.6833 -2.2931 -4.8237
Br -2.6505 2.4573 -7.4868
Tb -7.3178 1.6025 -0.0401
Tb -3.8883 0.2703 -6.0923
=====

[Request]
What is needed: work out how many lines further up have the word "Tb" in them; a number is enough.

[Response]
3